The one thing I missed about my old WordPress blog when I switched to a static Jekyll site is having statistics about my blog. I could have solved that by using Google Analytics or other tracking tools but a big part of what I was trying to do was get rid of all the trackers, JavaScript injection, and what I may overly aggressively label “spyware.” Looking at the Nginx log I thought there was enough in there to let me recreate a lot of those statics once I worked through all the bot traffic. This also gave me the opportunity to create a Kotlin Multiplatform project that I could potentially one day migrate to a pure Kotlin Native application. I’m sure that using existing log processing tools out there that may have hit my requirements but I decided to do the usual programmer thing of just write my own. It’s running live on my blog now and generating the annual and monthly statistics I was looking for. The source code is up on Gitlab for others that may want to use it as well. Now on to the details of the project.
Blogging Background
So let’s take a step back to the beginning of my blogging. I like sharing my thoughts and opinions on the internet. Before the internet I did that on AOL and BBSs as well. That would be in the form of newsgroups, forum discussions, chat rooms etc. In the early-2000s I gave a try of doing it on LiveJournal. However it was when I began doing personal health experiments that I decided I should actually create my own blog. That’s where the title “N=1” comes from. I’m an experiment with one sample. It’s not so much scientific as methodical, if that makes sense. It’s not coming up with a control group and an experimental group and then study the relative benefits of one over the other for a particular thing. That would be actual science. This is more experimentation in the colloquial sense, and exploring health. I had big plans to try to cycle through a series of eating lifestyles for a couple months at a time with blood and fitness tests before/after to see if I could feel and measure a big difference. That experiment never came to fruition for various reasons but I kept blogging. I then added just general writing, program writing, and the like so now it’s just a generic personal blog. It’d be shit for monetization and influencing if I cared about such things because it lacks focus and regular consistent updates but that’s not the purpose.
So for a simple blog I went with Wordpress. I wanted to host it myself so rather than use I followed instructions to setup a nice small Linux machine and was on my way. Then there was the noise of all the bots in the comments section. So I installed a plugin for that. Then there were some other things I was looking for so installed Jetpack, which is where those stats came from. Updates were a bit of a bitch but not too bad. Still there would be one attack after another against Wordpress sites announced. I was good with my security and I literally only had three core plugins install so I was mostly safe but I still found it unsettling a bit. Besides whenever I’d post to Diaspora or Mastodon the flood of fediverse servers would cause hundreds of requests to come in over a very short period of time. That would make my server’s response too slow for awhile. I could add caching or put a CDN in front but the whole point was to keep it simple. So I was teetering on the edge of making the jump to a static site system like Jekyll or Hugo. When I first started using DuckDuckGo’s Privacy Essentials plugin and saw how many trackers were embedded on my simple website despite me not setting it up (probably a bunch from Jetpack) I decided to finally make the leap.
Project Background
For two years I’ve had a simple blog that I can just type up my comment in Markdown, commit to my git repository and then the blog updates. It’s been perfect. Still, I liked seeing which posts people were going to. I liked seeing how many hits my blog was getting each month, even if it was just a couple dozen to a couple hundred. When I read articles about seeing which browsers or operating systems hit a site I’d like to have that sort of information too. But I don’t want to have it by installing tracker JavaScript files to my website. I like the fact my site renders perfectly in Lynx and non-JavaScript browsers. I like that it’s fast because of that too. There is a privacy aspect to that as well which I’m proud of. I also didn’t want to potentially increase the complexity of my setup. Setting up external tracking sites is just one more attack surface potentially. Setting up a local tool which talks to a database engine is again just more potential attack surfaces. It’s not that big of a deal but again if all I’m looking for is a little statistics work then why do I need that. So that was the requirement I set out for myself:
- Able to generate a history of real blog hits to the blog posts themselves
- Able to tell me which referrers the articles came from
- Able to tell me which site-navigation that may have been used (like from another post or the Archive)
- Able to tell me which browsers and OS’s visitors are from
- No JavaScript tracking of any kind
- No additional infrastructure systems to support this
- No additional network connections to support this
- No additional long running services to support this
I chose Kotlin as the language because it’s my favorite and it would allow me to potentially write a small self contained native application eventually. In the short term though I was more interested in getting things working so the current deployment is using a lot of JVM specific Kotlin features. Where I can though it’s using pure Kotlin libraries. Where I can’t I use Kotlin Multiplatform’s expected/actual class methodology to create the JVM specific implementation but that will allow me to write a pure Kotlin or native platform version in the future without changing the rest of the code. Most of the code already is Kotlin common code with the only things requiring the JVM are the database wrapper, which uses JetBrain’s Exposed library and the JDBC SQLite adapter and the SHA-256 string hashing algorithm. Lastly the command line program that drives this also is using the Java File walker. All of these could potentially be replaced with native components right now but it’d be more complicated and I wanted to get this up and running. So the main technologies used for this are:
- Kotlin Multiplatform
- SQLite database
That’s it. The first pass is pretty straight forward. The program parses each line of the Nginx log file into some processable constituents and stores them. I’m doing a SHA-256 hash of each line which should guarantee uniqueness without storing the line itself. All of that gets stored in a SQLite file database for querying and processing. That’s the easy part. The first hard part is filtering out irrelevant information. First, I want statistics on my articles so I only want it tracking accesses to those posts not any place on the website. If I had thought of this long ago I could have had a relative path like /posts/yyyy/mm/dd
or /blog/yyyy/mm/dd
but I didn’t so it’s just a bare path of /yyyy/mm/dd
. That’s not too hard to parse around so that was quickly overcome. It’s the bot traffic and malicious actor requests that needs some real filtering.
Going through the log manually I could see that 90% or more of the traffic hitting my site were bots and malicious actors. Those are not the same thing. Lots of bots are just indexing the site. When I post to the fediverse all those servers ask for a copy of the post too, just like Facebook and Twitter do. I only want statistics when a human is reading the post though. That’s where most statistics trackers inject some JavaScript code to work its magic, which I’m not going to do. However in there were tons of site attacks as well. Most of them were, ironically, Wordpress attacks. Seeing if my admin page was wide open. Trying different backdoors. There were some SQL injection attack style attempts too. Talk about a good reminder of why I was taking the approach I was to simplifying my blog several years ago!
To distill out the relevant human accesses to my articles I created a series of Filter classes that can used in succession to perform the distillation. It just takes some trial and error in configuration:
is the extension class which takes a list of these filters and applies it against theAccessLogEntry
to decide whether it is okay or notAllowedResponseCodeFilter
looks at the response code in the Nginx log entry and only passes those of interest, for my blog simple 200 and 301.ArticleYearPathFilter
takes care of my blog structure problem by looking at request paths that begin with select blog years, like/2020
etc. I could have restructured my site to have/posts
but decided to just keep thing status quo for now and write this simple filter. It’d also allow me to run statistics later on subsets of the blog if I choseBotFilter
is used to check the referrer string and/or the user agent string for keywords that are used by bots. Using an older dataset and my current logs I created my own dictionary of these terms. I also used this Nginx Bad Bot configuration to seed my own configuration files with known bad bot keywords.FilterBadIPs
is used to block known spammy IP addresses. Even with all the potential bot filtering some sites aren’t nice enough to clue me in to their nature but it can be pretty clear looking at the stats who is a bot and who is not. For example, an IP address with 20 hits over 1 second, that’s a bot.RelPathStartFilter
is a generic form of theArticleYearPathFilter
which in fact uses it under the hood.
Every filter implements the Filter
interface which has one simple method, checkIsOkay
for a given AccessLogEntry
item. If it’s okay then it’ll get processed and stored. If it’s not then the entry doesn`t get into the dataset. As I wrote above there is a ton of noise. I test log history with over 50,000 items distilled down to about 1,000 actual log entries of interest. Configuring this took trial and error, which I’ll get into in a minute, but it was a grand total of less than an hour of such tweaking. With the data stored it’s time to generate statistics. The link statistics I’m looking to track are:
- The number of views of a post
- The unique IP addresses that went to it and the number of times that IP address went to it
- The unique external referrers and the number of times each referrer sent people to the post
- The unique “internal referrers”, basically site navigation, that sent people to the post
- The unique browsers and versions to the post
- The unique operating systems and versions to the post
All of these I then bin up into monthly bins which can then generate “Top 10” style metrics. It was pretty interesting but not entirely surprising what sorts of systems visited my site and which links were the most popular. My thoughts on my site’s metrics are a topic for another post. While I originally wanted to generate some graphs and HTML I decided to keep it simple for now and generate a flat text file. It has all the essential data so met my “minimum viable product” definition.
All of this capability is wrapped up in a single command line tool which provides a pretty simple interface to use:
Usage: run-analysis [OPTIONS] SETTINGSFILE
-b, --batch INT Size of each batch insert to database (default = 100)
-i, --ingest Whether to try to ingest new log data
-s, --summarize Whether to try to ingest new log data
--find-badip Look for potentially bad IPs in the data
--list-ip TEXT List all entries for the IP address
-f, --apply-filters Applies the current filter configuration to the
existing dataset, toggling hidden field accordingly not
deleting data
-h, --help Show this message and exit
[Attached: calculated crystals]
# 1
TaFeAu2 | Alexandria via LeMat-Bulk | PBE | relaxed; relative energy among the computed polymorphs = 352 meV/atom
1.0
0.000 3.189 3.189
3.189 0.000 3.189
3.189 3.189 0.000
Ta Au Fe
1 2 1
direct
0.500 0.500 0.500 Ta
0.250 0.250 0.250 Au
0.750 0.750 0.750 Au
0.000 0.000 0.000 Fe

=====

# 2
A relaxed structure of PdRuRh4, computed with PBE.

```
PdRuRh4
1.0
-2.140 -0.677 -1.538
-1.517 -0.296 2.240
-3.087 11.158 -0.617
Rh Ru Pd
4 1 1
direct
0.000 0.000 0.671 Rh
0.500 0.500 0.163 Rh
0.500 0.500 0.837 Rh
0.000 0.000 0.329 Rh
0.000 0.000 0.000 Ru
0.500 0.500 0.500 Pd
```

=====

The energy of formation from the pure elements results, record by record, are as follows: 0.365 0.046 eV/atom.


# CrP3W | Alexandria via LeMat-Bulk | PBE | optimized geometry
data_CrP3W
_space_group_name_H-M_alt 'P m -3 m'
_space_group_IT_number 221
_space_group_name_Hall '-P 4 2 3'
_cell_length_a 4.6639
_cell_length_b 4.6639
_cell_length_c 4.6639
_cell_angle_alpha 90.00
_cell_angle_beta 90.00
_cell_angle_gamma 90.00
loop_
_atom_site_label
_atom_site_type_symbol
_atom_site_fract_x
_atom_site_fract_y
_atom_site_fract_z
Cr1 Cr 0.0000 0.0000 0.0000
P1 P 0.0000 0.5000 0.5000
W1 W 0.5000 0.5000 0.5000
# - final energy (eV/atom) = -6.53
# - energy of formation (eV/atom) = 1.23
# - spin magnetization (μB/cell) = 0.40


# K2Sb2Pt | Alexandria via LeMat-Bulk | PBE | optimized geometry
data_K2Sb2Pt
_space_group_name_H-M_alt 'P 4/m b m'
_space_group_IT_number 127
_space_group_name_Hall '-P 4 2ab'
_cell_length_a 7.0471
_cell_length_b 7.0471
_cell_length_c 5.8752
_cell_angle_alpha 90.00
_cell_angle_beta 90.00
_cell_angle_gamma 90.00
loop_
_atom_site_label
_atom_site_type_symbol
_atom_site_fract_x
_atom_site_fract_y
_atom_site_fract_z
K1 K 0.1706 0.3294 0.0000
Sb1 Sb 0.1469 0.6469 0.5000
Pt1 Pt 0.0000 0.0000 0.5000
# - final energy (eV/atom) = -3.73
# - formation energy from raw total energies (eV/atom) = -0.431
# - spin magnetization (μB/cell) = 0.00


# BeReBr | Alexandria via LeMat-Bulk | PBE | optimized geometry
data_BeReBr
_space_group_name_H-M_alt 'I 4 m m'
_space_group_IT_number 107
_space_group_name_Hall 'I 4 -2'
_cell_length_a 2.9853
_cell_length_b 2.9853
_cell_length_c 12.7120
_cell_angle_alpha 90.00
_cell_angle_beta 90.00
_cell_angle_gamma 90.00
loop_
_atom_site_label
_atom_site_type_symbol
_atom_site_fract_x
_atom_site_fract_y
_atom_site_fract_z
Be1 Be 0.0000 0.0000 0.0000
Re1 Re 0.0000 0.0000 0.4112
Br1 Br 0.0000 0.0000 0.7731
# - final energy (eV/atom) = -5.16
# - formation energy from raw total energies (eV/atom) = 0.785
# - spin magnetization (μB/cell) = 0.00


# Nb2CdAgH | Alexandria via LeMat-Bulk | PBE | optimized geometry
data_Nb2CdAgH
_space_group_name_H-M_alt 'P 4/m m m'
_space_group_IT_number 123
_space_group_name_Hall '-P 4 2'
_cell_length_a 5.4094
_cell_length_b 5.4094
_cell_length_c 3.0757
_cell_angle_alpha 90.00
_cell_angle_beta 90.00
_cell_angle_gamma 90.00
loop_
_atom_site_label
_atom_site_type_symbol
_atom_site_fract_x
_atom_site_fract_y
_atom_site_fract_z
[Back to the entry]
SETTINGSFILE Location of run settings configuration
I violated the Unix principle a bit so I could have just one giant project. I thought of refactoring it into a common library used across multiple command line tools with a common library but nixed that for the time being. Using flags you can define which operations to perform at execution time:
- The settings file has all of the configurations for the filters, file locations, etc.
causes the application to read the log files in the folder specified in the settings looking for new entries. It then processes them according to the filter and storage settings.--summarize
generates the summary data from the existing database stored dataset and outputs it to a local file--find-badip
is a tool I to look through the dataset to find potentially unflagged bad IPs. These are IP addresses that are making too many requests over too short a window of time (configurable in the settings file).--list-ip
will list all valid entries for a given IP address and print out those entries with human readable time tags. This can be used by user to investigate potentially spammy IP’s flagged by the system with the bad IP tool or when looking at the summary statistics and seeing an especially chatty IP address.--apply-filters
will run the current filter configuration against the current dataset and make whether those entries are visible in the summary statistics. It never deletes anything it simply toggles ahidden
flag which is used during the queries.--batch
is used to define a batch size used when adding entries to the database. This is really only important during bootstrapping so that it combines several inserts into one transaction. This was way more important early on in development when I was batch inserting the whole set not the fraction that are filtered out.
For regular updating I have a normal user account’s cron job setup to run this tool with the ingest and summarize options every 30 minutes. The only destructive operation is the overwriting of the latest statistics summary text file that gets generated with each execution. I can look at those statistics from time to time and see if I need to tweak the filters. For example I saw that an IP address went to my site 71 times in one month. That seemed unlikely to me. I ran the “find-badip” tool which didn’t flag it. I then used the “list-ip” tool which listed all the entries. Sure enough it was legitimate traffic. And so it stays in. If it turned out to be a new IP address I don’t want statistics on I could add it to the filter configuration JSON file and run the tool with the --apply-filters
command to hide it from future statistics generation.
What I’ve developed is a blog statistics generation tool that can be used to generate statistics on a blog or simple website without the use of tracking JavaScript files, database servers, extra network connections etc, or system services. I went as far as setting up a cron job that runs every 30 minutes but that’s as close I get to a system service. Even when processing two months from scratch it only takes the tool a few seconds to run. For my blog’s traffic levels it’s generating between 500-1000 KB of database size per month. That makes the overhead of the tool very small as well. Getting to the data is as simple as logging into the server to view the summary file or scp’ing the file down to your local machine. Right now the only system requirement is that a Java Runtime Environment has to be installed. It suits my purposes for now but things I’d like to do moving forward are:
- Convert the whole thing to a Kotlin Native application so that it does not require any runtime environment at all
- Change the output to be formatted output instead of raw text. First step would be generation of markdown. Second step would be adding graphs, especially if there was a Kotlin Native graph generation library, and lastly perhaps making HTML files similar to the ones I generated from my Apple Silicon Benchmark tool .
As I wrote from the beginning I wrote this for myself but it may be useful to others looking for a compact, self contained, totally server side statistic system. I’ve open sourced it as AGPLv3 as well so feel free to look at the code, contribute back, or make changes as one desires.